US, UK, and Australia Discuss Expansion of AUKUS Security Pact, Eyeing Japan’s Involvement

US, UK, and Australia Discuss Expansion of AUKUS Security Pact, Eyeing Japan’s Involvement

The United States, Britain, and Australia are initiating discussions to expand their AUKUS security pact, aiming to involve additional members, particularly Japan. This move is part of the efforts to counter China’s increasing influence in the Indo-Pacific region.

# Here the piece breaks off for calculated molecules
This record from OMol25 describes C33H57ClF5GaN7 as an isolated structure at a distorted geometry. The level of theory is ωB97M-V with the def2-TZVPD basis set.

XYZ file:
```
104
Properties=species:S:1:pos:R:3
F -0.46495 -1.88980 -1.61665
C -0.31794 -1.54876 -0.37930
F -0.26278 -0.20220 -0.34116
F -1.33493 -1.87930 0.32131
C 0.98811 -2.07485 0.23466
F 1.99501 -1.78829 -0.56084
F 1.15627 -1.30622 1.34038
C 0.96403 -3.53151 0.67001
C 1.54399 -4.52448 -0.36884
C 0.41759 -5.14407 -1.21638
Ga 1.09220 -6.25887 -2.80436
Cl 1.86895 -8.26928 -2.05846
H 1.60068 -3.57322 1.55001
H -0.02423 -3.84965 0.97459
H 2.31978 -4.09200 -0.99322
H 2.01030 -5.33102 0.19297
H -0.14428 -4.31409 -1.65631
H -0.26022 -5.74104 -0.60785
H 2.25665 -5.49726 -3.61042
H -0.17311 -6.53001 -3.76487
C 3.05730 2.31990 0.57453
C 2.24775 1.90263 1.79618
C 2.35185 2.90651 2.95172
C 3.75093 3.03108 3.39044
N 4.83814 3.13057 3.72721
H 4.12389 2.37435 0.79942
H 2.93092 1.59311 -0.22969
H 2.73284 3.29651 0.20645
H 2.58699 0.92030 2.13011
H 1.19964 1.79820 1.51072
H 1.74802 2.57369 3.79578
H 1.98894 3.88462 2.64243
C -4.37786 2.26038 -1.32264
C -3.50264 1.03060 -1.54154
C -2.52348 1.19160 -2.70781
C -3.24884 1.40758 -3.96901
N -3.81273 1.58182 -4.94667
H -5.01505 2.46711 -2.18272
H -5.03316 2.11145 -0.46418
H -3.76469 3.14531 -1.13123
H -4.14029 0.16236 -1.71787
H -2.93120 0.83083 -0.63289
H -1.91191 0.29390 -2.79887
H -1.85593 2.03830 -2.53657
C 2.48876 2.70801 -4.22913
C 1.17602 1.94463 -4.35470
C 1.14996 0.65837 -3.52377
C 2.21415 -0.24696 -3.98040
N 3.05525 -0.93481 -4.33036
H 3.33333 2.12697 -4.60078
H 2.44691 3.63068 -4.81118
H 2.68306 2.97079 -3.18594
H 0.99852 1.70564 -5.40492
H 0.35527 2.59021 -4.02969
H 0.18677 0.16435 -3.64534
H 1.29319 0.86719 -2.46188
C -0.47005 0.93835 4.11046
C -1.77724 0.16772 3.97778
C -1.77476 -1.14385 4.76718
C -0.71078 -2.03832 4.29134
N 0.11224 -2.73614 3.92069
H 0.37087 0.37251 3.70495
H -0.52595 1.87870 3.55980
H -0.25642 1.16979 5.15720
H -1.96579 -0.03872 2.92208
H -2.60084 0.79060 4.33434
H -2.73107 -1.65524 4.65598
H -1.61699 -0.94986 5.82921
C 4.06032 -11.67609 0.63182
C 4.91094 -10.49917 1.09464
C 4.18662 -9.60366 2.10379
C 2.96798 -9.04025 1.50713
N 2.03830 -8.58758 1.02368
H 3.16254 -11.33701 0.11323
H 4.62165 -12.30240 -0.06273
H 3.75567 -12.29729 1.47803
H 5.20382 -9.90681 0.22603
H 5.82984 -10.87535 1.55225
H 4.83389 -8.78336 2.41508
H 3.91106 -10.17239 2.99358
C 1.96040 6.10839 -2.00172
C 0.45932 5.90592 -2.18352
C -0.34480 6.26195 -0.93030
C 0.06904 5.40607 0.18994
N 0.39040 4.71745 1.04131
H 2.36035 5.46133 -1.21924
H 2.48628 5.86607 -2.92512
H 2.19116 7.14362 -1.74175
H 0.26689 4.86534 -2.45475
H 0.11187 6.52211 -3.01484
H -1.41120 6.11579 -1.10466
H -0.18786 7.30565 -0.65490
C -6.03540 4.82304 2.52934
C -5.34443 5.93728 1.75151
C -6.21894 6.51593 0.63398
C -6.56631 5.47408 -0.34334
N -6.83041 4.65112 -1.08933
H -6.26594 3.97164 1.88742
H -5.39058 4.46205 3.33079
H -6.96647 5.17620 2.97743
H -4.41430 5.55388 1.32652

Pillar Two Expansion Talks

== These quantum chemistry results were left in the text by mistake ==
<<<
(1)
{
  "formula": "C9H13N4",
  "method": "wB97M-V/def2-TZVPD",
  "gap_ev": 9.44,
  "lumo_energy_ev": -2.928,
  "charge": 1,
  "smiles": "N[C@H]1C=C[N@@H+](N)N1c1ccccc1",
  "homo_energy_ev": -12.367,
  "multiplicity": 1,
  "species": ["C", "C", "C", "C", "C", "C", "C", "C", "C", "N", "N", "N", "N", "H", "H", "H", "H", "H", "H", "H", "H", "H", "H", "H", "H", "H"],
  "coordinates": [[-3.7062, 0.2693, 0.3486], [-3.1158, -0.8931, 0.6085], [-3.0505, 1.2458, -0.3441], [-1.7690, -1.0633, 0.4233], [-1.6904, 1.1036, -0.5721], [-1.0764, -0.0872, -0.2239], [1.8747, -0.7029, 1.2094], [1.8878, 0.6082, 1.1633], [1.1991, -1.2448, -0.0240], [0.3098, -0.1322, -0.4339], [2.0483, -1.6037, -1.0960], [1.8085, 1.7412, -0.9573], [1.0913, 1.1674, 0.0181], [-4.6755, 0.5689, 0.8118], [-3.6517, -1.4743, 1.3029], [-3.5530, 2.0916, -0.7771], [-1.3431, -1.9759, 0.7771], [-1.1302, 1.9158, -0.9927], [2.2617, -1.3231, 1.9108], [2.2897, 1.3736, 1.8328], [0.6337, -2.0815, 0.2630], [1.9050, -0.8518, -1.8803], [2.0841, -2.5949, -1.4274], [1.1491, 1.8784, -1.6792], [2.7618, 1.5406, -1.1163], [0.3910, 1.7434, 0.4703]],
  "mulliken_charge": [-0.333, -0.885, -0.729, -0.405, -0.266, 0.925, -0.393, -0.564, -0.151, 0.027, -0.550, -0.647, 0.273, 0.327, 0.356, 0.405, 0.232, 0.329, 0.582, 0.511, 0.366, 0.295, 0.271, 0.266, 0.271, 0.489]
}



(2)
{
  "formula": "H12O6",
  "method": "wB97M-V/def2-TZVPD",
  "gap_ev": 11.41,
  "lumo_energy_ev": 0.551,
  "smiles": "O.O.O.O.O.O",
  "homo_energy_ev": -10.857,
  "multiplicity": 1,
  "species": ["O", "H", "H", "O", "H", "H", "O", "H", "H", "O", "H", "H", "O", "H", "H", "O", "H", "H"],
  "coordinates": [[-1.2315, 1.6704, 0.7369], [-0.8511, 1.0782, 1.3937], [-0.4669, 2.2366, 0.6721], [-2.2089, -1.9171, -0.0761], [-2.4485, -2.8269, -0.2271], [-2.3013, -1.3882, -0.9138], [1.1949, 1.0717, 1.7141], [1.0985, 0.1287, 1.4448], [2.1177, 1.2894, 1.9024], [0.5066, -1.1813, 0.6959], [0.0761, -0.9777, -0.2063], [0.0635, -1.9785, 0.9581], [2.0785, 0.8475, -1.5181], [1.8977, -0.0948, -1.3867], [3.0520, 0.8325, -1.4417], [-0.7627, 0.0153, -1.3382], [-0.8299, 0.7814, -1.9193], [-0.9848, 0.4127, -0.4907]],
  "mulliken_charge": [-0.742, 0.393, 0.333, -0.628, 0.293, 0.332, -0.677, 0.411, 0.256, -0.664, 0.401, 0.261, -0.581, 0.299, 0.287, -0.707, 0.273, 0.459]
}



(3)
{
  "formula": "C10H16Cl4MnO5",
  "method": "wB97M-V/def2-TZVPD",
  "gap_ev": [3.24, 5.24],
  "lumo_energy_ev": [3.263, 4.525],
  "charge": -2,
  "homo_energy_ev": [0.023, -0.716],
  "multiplicity": 4,
  "species": ["C", "C", "C", "C", "C", "C", "C", "C", "C", "C", "Mn", "Cl", "Cl", "Cl", "H", "H", "H", "H", "H", "H", "H", "H", "H", "H", "H", "H", "H", "H", "H", "O", "H", "O", "Cl", "O", "O", "O"],
>>>

The Defence Ministers of the involved countries will announce discussions on “Pillar Two” of the AUKUS pact. This pillar focuses on collaborative development in areas such as quantum computing, undersea technology, hypersonic systems, artificial intelligence, and cyber technology.

Expansion Considerations

While the expansion is primarily focused on Pillar Two, there are no plans to extend Pillar One, which involves supplying nuclear-powered attack submarines to Australia.

Geostrategic Implications

The formation of AUKUS and its expansion are responses to China’s growing assertiveness in the Indo-Pacific. This move is part of broader efforts by the US to bolster partnerships in the region.

Japan’s Potential Involvement

There are discussions regarding Japan’s potential inclusion as a partner under Pillar Two. This topic is likely to be discussed during President Biden’s meeting with Prime Minister Kishida in Washington.

Challenges and Considerations

However, there are obstacles to Japan’s involvement, including the need for enhanced cyber defenses and stricter regulations on safeguarding sensitive information.

Decision Making and Partnership

Decisions regarding new participants in Pillar Two will be made collectively by the existing AUKUS members based on the contributions each country can bring to the project.

Trilateral Summit

Furthermore, a trilateral summit involving the US, Japan, and the Philippines is scheduled, underscoring the broader regional dynamics and cooperation efforts.

Multiple-Choice Questions (MCQs):

  1. What is the focus of “Pillar Two” in the AUKUS pact?
    a) Nuclear-powered submarines
    b) Quantum computing and cyber technology
    c) Missile defense systems
    d) Space exploration technology
    Answer: b) Quantum computing and cyber technology
  2. Which country is being considered for inclusion in the AUKUS pact?
    a) China
    b) India
    c) Japan
    d) Russia
    Answer: c) Japan
  3. What is a major concern regarding Japan’s potential involvement in the AUKUS pact?
    a) Economic instability
    b) Environmental regulations
    c) Cyber defense capabilities
    d) Cultural differences
    Answer: c) Cyber defense capabilities
  4. How are decisions made regarding new participants in Pillar Two of the AUKUS pact?
    a) By individual member countries
    b) By the United Nations
    c) Collectively by existing AUKUS members
    d) By a council of non-member states
    Answer: c) Collectively by existing AUKUS members
  5. What is the purpose of the trilateral summit involving the US, Japan, and the Philippines?
    a) Economic negotiations
    b) Cultural exchange programs
    c) Regional cooperation and security discussions
    d) Environmental conservation efforts
    Answer: c) Regional cooperation and security discussions